STAND: The Student-Led Movement to End Mass Atrocities welcomes yesterday’s introduction of H.R. 5273, The Global Fragility and Violence Reduction Act of 2018 by Representatives Eliot Engel (D-NY), Ted Poe (R-TX), Mike McCaul (R-TX), Adam Smith (D-WA), Bill Keating (D-MA), and Paul Cook (R-CA) in the United States House of Representatives.
Today, the world is facing the worst humanitarian crisis since World War II, the highest number of refugees in recorded human history, and a 25-year peak in violence conflict. In the last 15 years, half of the world’s population has been exposed to political violence. The human toll is devastating, and a reevaluation of U.S. strategies for preventing and responding to such violence is long overdue.
There is also a huge economic cost to violent conflict. According to the Institute for Economics and Peace, the economic impact of violence on the global economy in 2014 was $14.3 trillion – or 13.4% of the world’s GDP. Additionally, 91% of global donor funds are spent on conflict response, and only 9% on actually addressing violence and its causes. Clearly, a new approach is needed to stop violence at its core – and that’s exactly what the Global Fragility and Violence Reduction Act intends to do.
This historic legislation establishes an interagency Global Initiative to Reduce Fragility and Violence, which will develop strategies for reducing violence in ten pilot countries. Importantly, the framework prioritizes continuous evaluation and assessment of efforts in each country in order to better evaluate U.S. efforts to address the root causes of violence and conflict, and will provide the administration the guidance, funds, and flexibility needed to better prevent and respond to violence around the world.
STAND, as the student-led movement to end mass atrocities, is proud to join with 34 other organizations in supporting the Global Fragility and Violence Reduction Act.
Visit www.allianceforpeacebuilding.org/violencereductionbill to learn more about this initiative.
Supporting organizations include:
- Alliance for Peacebuilding
- American Friends Service Committee
- Carl Wilkens Fellowship
- Center for Civilians in Conflict
- Center on Conscience & War
- Charity & Security Network
- Chemonics
- Church of the Brethren, Office of Public Witness
- Conference of Major Superiors of Men
- Congregation of Our Lady of Charity of the Good Shepherd, US Provinces
- Cure Violence
- Educators Institute for Human Rights
- Friends Committee on National Legislation
- Global Communities
- Humanity United Action
- i-ACT
- International Alert
- International Crisis Group
- International Rescue Committee
- Jewish World Watch
- Karuna Center for Peacebuilding
- Mercy Corps
- National Advocacy Center of the Sisters of the Good Shepherd
- National Latino Evangelical Coalition
- Pax Christi International
[Here the page breaks off for data records]
~~~
Diffraction record for Tm5ZnPb4. The X-ray powder pattern is computed, not measured: it uses a crystal structure in Alexandria, relaxed with PBE and Cu Kα (λ = 1.5418 Å).
Neutral-atom scattering factors, no anomalous dispersion.

Crystal structure
```
data_Tm5ZnPb4
_chemical_formula_sum 'Tm10 Zn2 Pb8'
_space_group_name_H-M_alt 'I 4'
_space_group_IT_number 79
_cell_length_a 9.615
_cell_length_b 9.615
_cell_length_c 6.237
_cell_angle_alpha 90.00
_cell_angle_beta 90.00
_cell_angle_gamma 90.00
loop_
_space_group_symop_operation_xyz
'x,y,z'
'-y,x,z'
'-x,-y,z'
'y,-x,z'
'x+1/2,y+1/2,z+1/2'
'-y+1/2,x+1/2,z+1/2'
'-x+1/2,-y+1/2,z+1/2'
'y+1/2,-x+1/2,z+1/2'
loop_
_atom_site_label
_atom_site_type_symbol
_atom_site_fract_x
_atom_site_fract_y
_atom_site_fract_z
Tm1 Tm 0.000 0.000 0.000
Tm2 Tm 0.090 0.307 0.687
Zn1 Zn 0.000 0.000 0.507
Pb1 Pb 0.101 0.281 0.192
```

Peak list (10 most intense, 2θ from 10° to 90°, most intense first)
two_theta	intensity
29.4	100.0
41.5	59.1
42.0	35.9
28.6	32.2
51.6	25.9
67.5	16.3
31.6	15.4
69.1	14.6
34.3	14.5
76.4	12.9
~~~
[The data records stop here]
- Pax Christi USA
- Peace Direct
- PRBB Foundation
- SaferWorld
- Search for Common Ground
- STAND: The Student-Led Movement to End Mass Atrocities
- Stop Genocide Now
- World Relief
- World Vision